Dan and I had a fleeting thought that perhaps this month we made a baby the old fashioned way and wouldn't that be just like God: Yeah you made a plan, you trusted Me and here I go doing it the way I want.
Well, found out today that we're not pregnant. It was sad, I cried in the middle of a restaurant during brunch because a family with a four year old and a newborn walked in and sat right in front of me. I felt embarrassed to cry like I did, I just couldn't help it. The thought, fleeting though it was, came into my head: See, that's what a family is supposed to be, not just you and Dan and your dog.
Man that was harsh.
And I dismissed it after a minute because it's so not true, I know that. We are a family damn it! And I know that one way or another we will have children. I'm not ready to move on from IUI yet, not ready to consider adoption yet, but if it comes to that it will be no less honorable and wonderful and miraculous than if we were able to birth our biological children.
I'm not ready for that yet, and I think that's ok.
A note about our dog though: she has been a real comfort. She's sweet and loves attention, though on the flip side she can be a real pain in the ass too! I love her, unconditionally.
Dan talks about her all the time to his co-workers, and made a comment that he's probably gonna be insufferable as a Dad because he'll talk about the baby even more.
## Materials data, as found in the file
- - -
(1)
Simulated powder diffraction line list of Tb2Er5Tm2 for copper Kα, from a PBE-relaxed structure.
Kinematic intensities with the Lorentz-polarization factor, no thermal factor.

Most intense lines, 15 to 90 degrees two-theta, by angle:
2theta	d [Å]	I/Imax
30.5	2.930	5
30.7	2.912	19
31.6	2.829	100
33.7	2.658	28
34.0	2.633	21
34.4	2.610	8
41.1	2.198	8
48.0	1.894	8
49.3	1.848	8
55.0	1.670	7
59.0	1.567	7
59.4	1.555	6

Crystal structure
abc: 3.4683 8.3173 10.1552
angles: 76.74 80.66 78.32
Sites, in units of the cell vectors:
1 Tb 0.0715 0.4948 0.3259
2 Tb 0.9285 0.5052 0.6741
3 Er 0.1463 0.8558 0.7897
4 Er 0.3763 0.8301 0.4443
5 Er 0.5000 0.5000 0.0000
6 Er 0.6237 0.1699 0.5557
7 Er 0.8537 0.1442 0.2103
8 Tm 0.4416 0.1772 0.8918
9 Tm 0.5584 0.8228 0.1082


(2)
Simulated powder diffraction line list of Tb4ErTm5 for copper Kα, from a PBE-relaxed structure.
Kinematic intensities with the Lorentz-polarization factor, no thermal factor.

Most intense lines, 15 to 90 degrees two-theta, by angle:
2theta	d [Å]	I/Imax
29.8	2.997	44
31.9	2.804	66
32.2	2.778	22
32.5	2.757	100
32.9	2.723	98
33.1	2.710	20
43.6	2.076	12
49.4	1.844	25
57.0	1.616	21
57.8	1.596	19
60.1	1.540	19
81.7	1.178	11

Crystal structure
abc: 3.5220 6.6923 13.7404
angles: 97.48 90.38 104.88
Sites, in units of the cell vectors:
1 Tb 0.1233 0.2049 0.3074
2 Tb 0.1762 0.3257 0.7127
3 Tb 0.8238 0.6743 0.2873
4 Tb 0.8767 0.7951 0.6926
5 Er 0.0000 0.5000 0.5000
6 Tm 0.1877 0.3749 0.0832
7 Tm 0.4654 0.9193 0.1133
8 Tm 0.5000 0.0000 0.5000
9 Tm 0.5346 0.0807 0.8867
10 Tm 0.8123 0.6251 0.9168


(3)
Simulated powder diffraction line list of Tb3Er3Tm4 for copper Kα, from a PBE-relaxed structure.
Kinematic intensities with the Lorentz-polarization factor, no thermal factor.

Most intense lines, 15 to 90 degrees two-theta, by angle:
2theta	d [Å]	I/Imax
27.3	3.268	13
30.6	2.923	63
31.3	2.854	30
32.8	2.727	100
35.0	2.564	14
39.6	2.276	9
40.2	2.242	9
47.7	1.907	11
50.3	1.814	15
56.8	1.622	18
59.6	1.552	16
60.0	1.541	23

Crystal structure
abc: 3.6275 9.2444 9.2444
angles: 89.94 90.00 90.00
Sites, in units of the cell vectors:
1 Tb 0.0000 0.0000 0.0000
2 Tb 0.0000 0.4994 0.8455
3 Tb 0.0000 0.8455 0.4994
4 Er 0.0000 0.3460 0.3460
5 Er 0.5000 0.1734 0.6707
6 Er 0.5000 0.6707 0.1734
7 Tm 0.5000 0.0486 0.2988
8 Tm 0.5000 0.2988 0.0486
9 Tm 0.5000 0.5471 0.5471
10 Tm 0.5000 0.7980 0.7980


(4)
Simulated powder diffraction line list of Tb2ErTm for copper Kα, from a PBE-relaxed structure.
Kinematic intensities with the Lorentz-polarization factor, no thermal factor.

Most intense lines, 15 to 90 degrees two-theta, by angle:
2theta	d [Å]	I/Imax
29.1	3.066	13
30.4	2.940	52
33.0	2.718	100
34.1	2.630	29
50.8	1.796	10
53.2	1.721	17
55.7	1.651	21
60.4	1.533	15
62.5	1.487	8
62.6	1.483	17
65.4	1.426	12
87.2	1.117	13

Crystal structure
abc: 6.8904 6.8904 6.8904
angles: 117.15 105.90 105.65
Sites, in units of the cell vectors:
1 Tb 0.0000 0.0000 0.0000
2 Tb 0.0000 0.5000 0.5000
3 Tb 0.5029 0.4546 0.5483
- - -
## The article goes on
I gotta admit something: I'm having a hard time lately seeing the end of all this. Seeing myself with a baby in my arms, seeing myself pregnant, seeing the triumph, the joy after all this pain. I'm having a hard time imagining it. And it scares me. Am I giving up inside? Am I doubting more than believing this will happen? I try not to worry about it, but I do.
But then, after a minute, I have peace. Like I said: we are going to have children. We are. I still have hope. I guess the doubt, the inability to see it is normal, and it passes. It doesn't mean it won't happen.
I hate this, but I know I'm growing through it. That's the purpose of hard, excruciating things in our lives; as much as I know that's little comfort to most. The shitty happenings draw our character out and make it stronger and shine brighter; at least that's what I believe. It's the potential within suffering, the reason for it. I know how this sounds, and I know that it can be like nails on a chalk board to hear someone say this when all you want is the pain to go away; believe me I've been there, still am there and will be until we have our baby, but it's something that makes this whole thing seem worth something; that it's not just random cruelty on God's part, there's a bigger, better reason for it. I've probably said this before, but sometimes it feels like a new realization for me.
Anyway, almost time to check out the doggie day care we're enrolling Gracie in.
Yes, I've turned into one of THOSE owners! But we have to find a kennel for her before Kaui and I want her to get used to it before we leave her there for two weeks.
Oh yeah, did I mention we're going to Kaui for 2 weeks in March.
Sometimes, those tax breaks actually work for the little people!